Writers Solution

Persuasive communication is a key skill needed in finance.

1203AFE Money, Banking and Finance
Assessment 3: Stock Pitch Report
Length: 2 pages (maximum)
Due Date: Week 12 (see L&G for exact time)
Weight: 20%
Task Description:
Persuasive communication is a key skill needed in finance. This task provides an opportunity to practice written persuasive communication, as well as apply knowledge of equity markets and research information.
Accordingly, this task asks you to create a 2-page report of a persuasive ‘stock pitch’. You will be allocated a company to research in Week 8. You have 3 weeks to research the company and devise a ‘stock pitch report’, as you would do as a financial analyst making a recommendation to your investment board. Drawing on annual financial statements, stock price data and other reports/news, you will analyse the company based on the information you collect, and make a BUY, HOLD or SELL recommendation. Note that as a first-year course, you are not required to value the company, you will acquire these skills in subsequent finance courses.
Useful resources include: the Bloomberg terminals, Yahoo Finance, ASX or other stock exchange, Google, etc.
a) The table over the page provides a list of data for you to research and collect. All presentations must include this data as a minimum. You can include more data and information as appropriate to your company. You can present data as tables, graphs, charts, etc.
b) Each report needs to provide an overview of Strengths, Weaknesses, Opportunities and Threats (SWOT) for your company.
c) Each report needs to include and justify a BUY, HOLD or SELL recommendation. The justification forms a substantial proportion of your marks.
d) Based on the information you’ve collected and wider research, formulate a persuasive report of a maximum of 2 pages. Remember that the report needs to have structure (introduction, body, conclusion) and logical flow.
Marking Criteria: The guide for marking is provided over the page. This sets out the criterion and standards that are required for particular levels of performance (and therefore marks). You should study these rubrics closely in order to understand what is required and how you will be marked for your work. Referencing should follow APA guidelines.
Submission: Details regarding submission will be provided in the Assessment 3 section on L@G. Files must be named as follows: [family name]_[student number]_Assessment3. If there are any technical issues experienced please contact the course convenor. All assessment items need to have a completed assignment cover sheet, a digital version is provided on L@G.
Basic Information Data Details
Company name
Ticker Abbreviation
Country of Listing
Name of Exchange
Number of shares outstanding
Market capitalisation
Description of the business
Stock price data:
52-week range
Price/Earnings ratio
Earnings per share
Dividend per share
Dividend yield
SWOT Analysis
Rubric – Stock Pitch (20%)
Criterion Weight (100%) Excellent Very Good Good Satisfactory Unsatisfactory
Depth and accuracy of content. 40% Explanations of concepts and data are clear and accurate. The recommendation is well supported with evidence and clearly justified. Explanations of concepts and data are clear and accurate. The recommendation is mostly well supported. Generally, explanations of concepts and data are sound. The recommendation lacks justification. Explanations of concepts and data are at a superficial level and inconsistent attempt is made to justify the recommendation. Explanations of concepts and data are inaccurate or incomplete. Little or no attempt is made to justify recommendation, or recommendation is omitted.
Justification of BUY, HOLD, SELL decision 40% The student provides a very persuasive argument that supports their decision and is supported by the data and other information provided.
The student has made a very good attempt to persuade the reader in the report to follow their recommendation. The decision is somewhat supported by the data and other information provided.
The student has made an attempt to be persuasive, but the justification lacks some conviction. The data and information provide some support.
The student’s attempt to justify the decision is adequate but could have had more conviction. Data and information may be inappropriate or inadequate.
The student has made little or no attempt to justify the decision or provides no decision. Data and/or information provided is inappropriate and/or inadequate.
Presentation and grammar Demonstrated English language proficiency, effective presentation, vocabulary, grammar and punctuation 10% Outstanding English language capability, including vocabulary grammar and punctuation. Excellent English language capability, including vocabulary grammar and punctuation. Well-developed written English, including vocabulary, grammar and punctuation. Some demonstrated proficiency in written English language presentation including vocabulary, grammar and punctuation. Limited or a poor level of proficiency in written English language, presentation including vocabulary grammar and punctuation.
Report Structure Demonstrated proficiency in structuring the report so as to maintain a logical flow with coherent transitions and connections throughout 10% Outstanding proficiency in structuring the report so as to maintain a logical flow with coherent transitions and connections throughout. Very high proficiency in structuring the report so as to maintain a logical flow with coherent transitions and connections throughout. Well-developed proficiency in structuring the report so as to maintain a logical flow with coherent transitions and connections throughout. Basic proficiency in structuring the report so as to maintain a logical flow with coherent transitions and connections throughout. Limited or no demonstrated proficiency in structuring the report to maintain a logical flow with coherent transitions and connections throughout. Significant lack of cohesion in the flow of text

Writers Solution

Introduction to Communication Extra Credit Opportunity

COMM 100/RIVERA: Introduction to  Introduction to Communication 

Extra Credit Opportunity  Communication 

These materials data were left in the piece by mistake
Entry 1:
# Na8CaZr3Si4P2O24

Na8CaZr3Si4P2O24 after structural relaxation (PBE, the Materials Project database).

Energy of formation = -3026 meV/atom

Cell: 9.3367 9.3392 22.8455 Å, 90.00 89.91 120.06°
Fractional coordinates of all 126 atoms:
Na 0.6580 0.6865 0.0826
Na 0.3152 0.0325 0.4160
Na 0.9658 0.6643 0.9172
Na 0.6384 0.0131 0.2407
Na 0.6596 0.9713 0.5897
Na 0.3138 0.3351 0.5857
Na 0.9858 0.6265 0.2418
Na 0.3752 0.3599 0.2417
Na 0.0283 0.3417 0.0826
Na 0.0084 0.9985 0.4966
Na 0.3136 0.9715 0.0827
Na 0.7135 0.6762 0.4133
Na 0.6680 0.3371 0.3298
Na 0.9710 0.2930 0.4140
Na 0.6360 0.6226 0.7461
Na 0.0008 0.0010 0.9987
Na 0.0296 0.6982 0.5837
Na 0.6730 0.3337 0.8296
Na 0.3412 0.6770 0.6698
Na 0.3832 0.0097 0.7446
Na 0.3342 0.6675 0.1597
Na 0.9823 0.3671 0.7508
Na 0.3349 0.3008 0.9186
Na 0.6992 0.0358 0.9173
O 0.8994 0.3702 0.6376
O 0.9072 0.5298 0.1438
O 0.5252 0.6966 0.2529
O 0.8552 0.4825 0.4210
O 0.8437 0.5417 0.0285
O 0.4707 0.3779 0.1435
O 0.5316 0.8545 0.4713
O 0.6723 0.5278 0.2471
O 0.1539 0.4589 0.9728
O 0.8516 0.3074 0.5287
O 0.9938 0.8094 0.8082
O 0.9835 0.8193 0.0897
O 0.7985 0.9765 0.6924
O 0.4573 0.3096 0.7497
O 0.8361 0.0167 0.0897
O 0.3033 0.8469 0.9731
O 0.1946 0.1868 0.8056
O 0.0200 0.1880 0.9118
O 0.5081 0.8435 0.0735
O 0.1436 0.4842 0.5732
O 0.4738 0.1467 0.2470
O 0.6329 0.1331 0.4217
O 0.6456 0.4986 0.9222
O 0.8403 0.5267 0.7522
O 0.1862 0.9756 0.1974
O 0.9830 0.1759 0.5865
O 0.3644 0.8736 0.8595
O 0.3314 0.8430 0.5739
O 0.5098 0.6356 0.8589
O 0.8133 0.8304 0.9122
O 0.7923 0.9788 0.4148
O 0.0290 0.8223 0.6927
O 0.5096 0.6676 0.5738
O 0.1721 0.9869 0.9119
O 0.5416 0.6953 0.9727
O 0.3649 0.4927 0.3598
O 0.5028 0.1472 0.9223
O 0.5125 0.8744 0.3620
O 0.2198 0.0155 0.3075
O 0.7920 0.8151 0.1975
O 0.7952 0.7814 0.3077
O 0.3354 0.4920 0.0734
O 0.8550 0.3278 0.2470
O 0.1309 0.6388 0.3598
O 0.0088 0.8181 0.4178
O 0.1567 0.6648 0.0736
O 0.3250 0.4740 0.4741
O 0.1764 0.6952 0.7537
O 0.6225 0.0930 0.1436
O 0.0236 0.2090 0.1976
O 0.5239 0.8201 0.7534
O 0.8190 0.0115 0.8080
O 0.2961 0.4640 0.7544
O 0.1849 0.0249 0.5861
O 0.8541 0.3546 0.9221
O 0.1809 0.1642 0.0897
O 0.4586 0.3020 0.0284
O 0.6218 0.5258 0.6424
O 0.1496 0.6791 0.4738
O 0.1812 0.2065 0.6952
O 0.6830 0.1570 0.7523
O 0.4760 0.0957 0.6421
O 0.4642 0.1562 0.5269
O 0.1740 0.1935 0.4182
O 0.3083 0.8316 0.2536
O 0.6973 0.5411 0.5275
O 0.9840 0.2036 0.3078
O 0.6983 0.1568 0.0285
O 0.1272 0.4901 0.8585
O 0.5098 0.3625 0.4212
O 0.1708 0.4751 0.2535
O 0.8363 0.8205 0.5866
Zr 0.9978 0.9921 0.6487
Zr 0.3353 0.6709 0.8158
Zr 0.6639 0.3389 0.4829
Zr 0.3332 0.6670 0.0146
Zr 0.3319 0.6668 0.5173
Zr 0.3297 0.6616 0.3165
Zr 0.6673 0.3337 0.9835
Zr 0.9960 0.9966 0.8535
Zr 0.0002 0.9997 0.1467
P 0.6981 0.7037 0.2522
P 0.6211 0.9615 0.4171
P 0.2859 0.2926 0.7511
P 0.0043 0.3011 0.2522
P 0.2981 0.9956 0.2521
P 0.9659 0.3334 0.5826
Ca 0.0017 0.9999 0.3526
Ca 0.6665 0.3335 0.1768
Ca 0.6643 0.3324 0.6830
Si 0.6281 0.6641 0.9160
Si 0.0331 0.6588 0.4177
Si 0.0054 0.7066 0.7519
Si 0.3383 0.3737 0.4179

Extra Credit Opportunity 

Up to 40 points TOTAL 

To earn up to 20 points extra credit (for each event), you may attend an approved event or watch one of the approved films and complete the following written assignment within ONE WEEK of the event. You may attend as many events as you want to earn UP TO 40 points TOTAL extra credit for the semester. You may watch and analyze one film for up to 20 points extra credit. All extra credit assignments must be turned in by December 7th, 2018. I will accept only typed paper copies of extra credit assignments. 

Format/Turning In: 

  • Assignment should be no longer than 2 pages, single spaced, 12 pt. font, 1 inch margins
  • Print the assignment and give it to me in class or slide it under my office door. There’s free
    printing (up to 10 pages) at any of the Student Centers (such as the Pride, Gender Equity, Latin@, Black Student, and Cross Cultural Centers)
  • Information: 2 points
    o Provide your name, class, date attended and date written
    o Provide the name of the event you attended or film you watched
  • Summary: 5 points (1 paragraph) Summarize the event you attended/film you watch. If it was a film, summarize the film’s plot and discuss important characters and/or themes. If it was a lecture, exhibit, performance or discussion, write about the key points or themes in the event, who spoke/performed/did art, and any definitions or concepts that were relevant to the event. Your summary should provide enough detail to demonstrate that you were present at the event.
  • Application: 8 points (1 paragraphApply what you saw/heard to the readings and concepts for this class. Specifically, tie what you learned by attending the event to something relevant you’ve learned from the class. It is not enough to simply say, “this is related to communication.” Instead, discuss specific concepts from the readings (use page numbers and citations) and make connections to the event and your own life.

Example: If you attend a poetry reading or performance, you could define “identity,” and discuss how the poet’s identity was revealed in their performance, or how your own identity resonated with the performer’s. 

Avoid discussing general concepts such as paradigms, human communication, etc. • Personal Reflection: 5 points (1 paragraph) Discuss how this event impacted you 

personally. Did you enjoy the event/film or was it challenging? Why do you think you felt this way? What did you learn, that you honestly didn’t know before? If you could tell someone ONE thing you got from this event, what would it be?